InSanity~Normalize, Don't Stigmatize Mentall Illness.

Friday, November 8, 2024

Defeat, Despair, Unity

My Dear Silly Bloggies,

Rather than ignore the obvious, I'm sharing what I shared on my facebook page in the early morn hours of 11/6.

Those of you who are on the other side of politics have been quiet here, and I appreciate it. I'd have dropped you if I believed you to be a hateful soul. You're not. Nor are the 66 MILLION who voted for the frumpy grumpy felon who's the color of a melon. MAGA aligns so tightly with White supremacy, though; there's absolutely a racist, misogynistic, xenophobic, etc. element that is NOW at the helm. But I won't have that here. (Sometimes the most and least we can do is set limits to protect our little spaces of earth and/or the internet.)
Oy, I'm just typing. I couldn't sleep. Nor could I stop crying. Not sure what to say. Well, I do know. You're not, we're not, alone. Far from that. 63 MILLION of us voted for the side of reason, compassion, joy, justice. What an incredibly powerful, inspiring, brilliant and witty duo Kamala and Tim made/make. The new regime can't erase this. We'd serve ourselves and the world best to absorb and lead by their example. That hope we felt and tasted as soon as Kamala zipped out the starting gate, that's as real as it gets. Unifying. Energizing and beautiful. We'll need to keep hold of that energy, to fuel the fights (for justice) that await.
I'm naive, I know, yet I still believe in a sort of universal balance. Love is the glue. Karma is real. And sometimes when the bigger picture looks disparaging, it's helpful to either broaden or narrow it.
The pendulum will swing back, as it does. Meanwhile, our city has added some phenomenal progressive voices, and there are some silver linings in the national scene as well - like Kari Lake's big loss. A fair number of states, I believe, have now legalized a female's rights to bodily autonomy. Many other positives too, but I was too anxious to retain that info. From a grander perspective too, much of the world is with us. As Kamala pointed out, they believe he’s a disgrace. Reason does pervade.
I’ve written too much, still not knowing what to say. But hey, we’ll see a new day tomorrow. We’ll survive by keeping each other close in reality and/or spirit. Together.
I love you.


  1. HUGE hugs. Hurting for you, hurting with you.

  2. The fundamental process of government will change with his crushing victory, however, and that is going to be a real problem.

    1. Yes. But staying stuck in that darkness only helps spread darkness. We really do have choices to make, actions to take, however limited. The other option is to entirely give up and give in.

  3. An appropriate time to remember the words of the Irish poet, Thomas Moore --

    “Fight on my men,"says Sir Andrew Barton,
    I am hurt, but I am not slain;
    I'll lay me down and bleed a-while,
    And then I'll rise and fight again".”

  4. Shocking that most Americans voted for this horrible man! 🤯 My sympathies to you, Robyn, and everyone else who supported Kamala. 💖 May these four years pass quickly and without serious consequences. Those of us north of your border are equally worried! 😬

    1. Thank you. It affects the whole world and is very frightening. Love to you in the great White North.
      Also, I tried to do some calculations but I have no idea how much of our population are of voting age. Bottom line, though, most Americans didn't vote. There's a great amount of passive helplessness working against us too.

# Next to the piece, the page also holds molecular data
____________
1.
Below is a molecular structure, C43H71GeN2O4P2PbS, with properties calculated with the ωB97M-V functional and the def2-TZVPD basis.

Each line ends with the Löwdin charge.
CARTESIAN COORDINATES (ANGSTROEM)
H  -6.613  -0.082  -1.685  0.08
C  -3.707  -1.613  -0.737  -0.06
C  -4.518  0.569  -0.231  -0.04
C  -1.011  1.148  -5.262  -0.03
C  -0.870  3.882  -0.698  -0.70
H  -1.783  -5.211  -2.400  0.08
H  -3.820  -2.545  -1.280  0.09
C  -1.233  0.472  2.755  -0.33
H  2.218  -0.410  5.563  0.08
H  4.681  3.341  -0.939  0.08
C  -0.367  5.293  -1.012  -0.06
H  1.822  3.106  4.817  0.07
H  -5.263  1.350  -0.349  0.12
C  4.473  0.763  -1.685  -0.01
H  -2.793  -0.791  -5.009  0.10
C  -1.311  1.329  7.051  -0.05
H  -0.336  1.652  7.415  0.07
H  -1.043  6.046  -0.607  0.10
H  5.544  3.217  -2.482  0.09
H  -0.569  -3.946  -2.220  0.04
N  2.610  -2.083  -1.446  -0.22
H  -2.905  -3.350  3.797  0.09
H  3.870  -0.865  5.154  0.09
C  3.045  -0.204  4.882  -0.10
H  0.080  -2.129  -5.477  0.08
H  -1.765  1.115  -6.048  0.10
H  0.723  3.536  3.508  0.07
C  -1.277  1.050  5.569  -0.28
H  1.749  -2.109  2.275  0.05
C  -0.772  -4.388  2.538  -0.13
C  -4.686  -0.634  -0.901  -0.27
C  3.791  1.957  -2.350  -0.70
C  3.844  -2.644  -1.446  -0.01
C  -5.895  -0.897  -1.762  -0.04
H  3.533  -0.465  2.804  0.11
H  0.203  -4.453  2.048  0.07
C  -3.401  0.800  0.558  -0.05
C  -2.021  -0.888  -4.245  -0.06
H  3.080  0.920  -4.105  0.07
H  3.318  2.253  0.864  0.05
H  -2.934  4.264  -1.218  0.10
H  4.015  4.112  -2.390  0.08
C  -2.608  -1.429  0.096  -0.31
H  -2.367  -0.388  -3.335  0.09
H  -3.298  -5.796  -0.731  0.08
C  2.639  -0.488  3.438  -0.53
H  -3.278  1.762  1.044  0.11
C  -1.154  3.758  0.796  -0.02
H  -0.809  -1.202  -6.688  0.10
H  1.842  3.205  0.938  0.05
H  -1.390  1.760  -4.442  0.07
H  4.215  0.729  -0.622  0.08
H  -0.289  5.445  -2.092  0.07
H  -2.269  -3.515  -2.455  0.05
C  -2.430  0.494  3.509  -0.02
H  4.756  1.501  -4.238  0.10
C  3.930  -2.591  -3.829  -0.04
C  -0.727  -0.257  -4.763  -0.64
H  -1.939  3.706  -2.573  0.07
H  5.504  -3.348  -2.562  0.12
H  -3.395  0.759  5.384  0.12
H  -2.457  2.556  -1.322  0.07
C  -3.162  -4.899  -0.121  -0.10
H  0.819  -0.683  -6.219  0.09
H  3.409  2.086  3.313  0.10
O  0.148  2.919  -1.028  -0.49
C  4.519  -2.906  -2.611  -0.03
C  -0.050  0.781  3.473  -0.31
H  0.822  1.285  5.366  0.09
O  2.031  -1.851  -0.294  -0.30
H  -3.996  -4.228  -0.328  0.06
H  -0.943  -2.274  2.694  0.06
C  4.557  3.239  -2.019  -0.03
H  4.232  -2.842  -0.459  0.15
H  4.158  -0.170  -2.155  0.06
H  0.622  5.438  -0.570  0.09
H  2.643  -2.641  3.710  0.09
C  -1.594  -4.225  -1.970  -0.14
H  -3.231  -5.208  0.919  0.05
C  2.759  2.962  1.479  -0.13
H  -6.391  -1.820  -1.457  0.08
C  1.983  -1.866  3.315  -0.12
C  3.760  1.745  -3.867  -0.06
H  -3.366  -2.079  2.671  0.06
H  2.153  -1.815  -4.753  0.10
H  -2.038  2.110  7.282  0.08
H  5.557  0.847  -1.778  0.10
O  2.466  2.053  -1.814  -0.43
C  -2.919  -3.066  2.739  -0.09
____________

  5. On behalf of the other side, thank you for your tried and true compliments. They're much appreciated.

  6. Don't worry. It'll be okay.

    "Sometimes the most and least we can do is set limits to protect our little spaces of earth and/or the internet."

    Wise words. I have had to learn this myself too. I can't watch everything, read everything, or wallow in anything.

    1. Yeah, people like to attack me/you viciously for dropping or blocking someone, as if we're supposed to receive everyone's hate and anger whenever we make our voices heard. Eff that. I'm using whatever I have available to keep my space safe. Thank you, Sandi.

  7. That's why I never talk about that stuff online.
    It will be all right. It was fine his first four years, it will be fine these next four.

  8. Time to start a countdown clock for Jan 20th, 2029.

  9. The orange buffoon will try his best to muck things up, but you guys got through the first 4 years, so hopefully next 4 will be fine too with that idiot. I have my doubts if he has enough brain cells left to last 4 years. Not that he had much to begin with. I just cringe thinking about listening to the whiny little cry baby go on and on again when he doesn't get his own way on things.

    1. It's beyond disturbing and cringe-worthy, every minute of it. Thanks for your support, Pat, from the great White North.

  10. Big hug and a sigh. I'm with you (and I'm stuck in Texas- that's an ugh). We'll carry on and do what we can to be kind in our worlds. While we can't understand half, they can't understand us. We'll just have to do our part day by day. Hang in there girlie!

    1. Day by day. Thanks for the caring sentiment and virtual hug, Joanne. Backatcha, my friend.

  11. I missed this probably due to our fence and bow being sick. Yesterday, I was looking at the magazines and there was Rump on the cover looking like he needs a bitch slap so I turned the magazine around only to show him from behind and his name In lights. I took the front of a copy of the magazine and covered the T so it just read...Rump. still bothered that his face and name showed on the front cover, I took a different magazine, covered the P and the T so it tr
    It read Resident Rump. I left satisfied.
